Bunker B-S 8 Hřbitov

Bunker BS-8 Cemetery

Useful Information

Location: Kopčianská Street, Petržalka.
Follow Kopčianská street to the village of Kittsee, right befor state border turn right at brown sign "CINTORÍN". Park at the Worls War I cemetery.
(48.107950, 17.081344)
Open: All year daily 14-18. [2020]
Classification: SubterraneaWorld War II Bunker
Light: LightIncandescent
Guided tours:  
Address: Občianske združenie Zachráňme petržalské bunkre, Miroslav Košírer, Tel: +421 902 961 164. E-mail:
As far as we know this information was accurate when it was published (see years in brackets), but may have changed since then.
Please check rates and details directly with the companies in question if you need more recent info.


1930s Czechoslovakia decides to build a defense system around its borders.
1936 beginning of construction.
OCT-1938 work on the defense system stopped.
2007 articles published by Bratislava photojournalist Miroslav Košírer.
2008-2009 cemetery reconstructed by the Bratislava City Hall, with the help of foreign sources.
MAY-2009 exhibition of photo documents from the Military History Institute.

== Someone pasted crystal structures at this point ==
<<<
Record 1
This entry pairs a crystal structure of Pa2TeH2 with its computed powder X-ray diffraction pattern. Radiation: Cu Kα. Structure: a GGA-PBE-relaxed structure.
Kinematic intensities with the Lorentz-polarization factor, no thermal factor.

Structural model:
Lattice parameters (Å, degrees): 6.1931 10.1680 10.9241 90.00 90.00 90.00
Space group Fddd (No. 70, origin choice 2)
Symmetry-distinct sites (fractional):
Pa 0.1250 0.3103 0.1250 (multiplicity 16)
Te 0.1250 0.1250 0.6250 (multiplicity 8)
H 0.1250 0.1250 0.0138 (multiplicity 16)

Main lines, low angle first (10° ≤ 2θ ≤ 90°):
index, d_spacing, I/Imax
0 2 2, 3.721, 22
1 3 1, 2.869, 100
0 0 4, 2.731, 48
2 0 2, 2.694, 94
1 3 3, 2.303, 55
1 5 1, 1.901, 16
1 3 5, 1.761, 25
3 3 1, 1.741, 24
3 3 3, 1.587, 18
2 0 6, 1.569, 19


Record 2
This entry pairs a crystal structure of Ta4BTe8 with its computed powder X-ray diffraction pattern. Radiation: Cu Kα. Structure: a GGA-PBE-relaxed structure.
Kinematic intensities with the Lorentz-polarization factor, no thermal factor.

Structural model:
Lattice parameters (Å, degrees): 11.8282 17.1095 3.5913 90.00 90.00 90.00
Space group Pbam (No. 55)
Symmetry-distinct sites (fractional):
Ta 0.0778 0.0683 0.0000 (multiplicity 4)
Ta 0.1469 0.9193 0.5000 (multiplicity 4)
B 0.0000 0.0000 0.5000 (multiplicity 2)
Te 0.0711 0.8059 0.0000 (multiplicity 4)
Te 0.1470 0.3208 0.5000 (multiplicity 4)
Te 0.2066 0.4956 0.0000 (multiplicity 4)
Te 0.2151 0.1632 0.5000 (multiplicity 4)

Main lines, low angle first (10° ≤ 2θ ≤ 90°):
index, d_spacing, I/Imax
0 2 0, 8.555, 29
2 0 1, 3.070, 31
3 4 0, 2.899, 54
0 4 1, 2.750, 29
2 3 1, 2.703, 100
1 4 1, 2.679, 41
4 3 0, 2.624, 66
3 2 1, 2.536, 31
2 5 1, 2.284, 80
0 0 2, 1.796, 36


Record 3
This entry pairs a crystal structure of Tb7PtS5 with its computed powder X-ray diffraction pattern. Radiation: Cu Kα. Structure: a GGA-PBE-relaxed structure.
Kinematic intensities with the Lorentz-polarization factor, no thermal factor.

Structural model:
Lattice parameters (Å, degrees): 3.8855 23.6340 6.7575 90.00 106.63 90.00
Space group P2_1/m (No. 11)
Symmetry-distinct sites (fractional):
Tb 0.0374 0.2500 0.0740 (multiplicity 2)
Tb 0.1371 0.5364 0.2752 (multiplicity 4)
Tb 0.3062 0.1772 0.6131 (multiplicity 4)
Tb 0.4109 0.6085 0.8221 (multiplicity 4)
Pt 0.3019 0.7500 0.6038 (multiplicity 2)
S 0.0495 0.6418 0.0997 (multiplicity 4)
S 0.2255 0.0705 0.4503 (multiplicity 4)
S 0.5000 0.0000 0.0000 (multiplicity 2)

Main lines, low angle first (10° ≤ 2θ ≤ 90°):
index, d_spacing, I/Imax
1 4 0, 3.149, 35
0 7 1, 2.994, 100
1 5 -1, 2.924, 36
1 2 -2, 2.805, 92
1 3 1, 2.711, 63
1 9 -1, 2.146, 26
0 5 3, 1.962, 44
2 0 -1, 1.943, 32
2 7 0, 1.630, 34
1 7 4, 1.253, 25


Record 4
This entry pairs a crystal structure of Zn2BiRh2 with its computed powder X-ray diffraction pattern. Radiation: Cu Kα. Structure: a GGA-PBE-relaxed structure.
Kinematic intensities with the Lorentz-polarization factor, no thermal factor.

Structural model:
>>>


Bunker B-S 8 Hřbitov (Bunker BS 8 Cemetery) is the largest and most heavily armed defensive facility in Bratislava. It was erected at the border to Austria to protect the Capital Bratislava. There is a series of 15 bunkers, BS1 to BS-15, which are located along the Austrian border from the Danube, around Petržalka, and back to the Danube. They follw the pre World War II Austrian-Czechoslovakian border, which was similar to tee modern border. Petržalka is a part of the capital which is located on the other side of the Danube.

After World War I the state Chechoslovakia was foundedd. In the early thirties the rise of the fascists made the government of Chechoslovakia nervous. They decided to fortify the border to Austria and Germany, and the border near the capital was quite important because it is very close. The bunkers were built between 1936 and 1938. However, they were of no importance during World War II, abandoned and today only a tenth of the hundreds of fortifications still exists.

The best preserved bunker B-S 8 is located at a World War I soldier cemetery, hence the Nickname cemetery. The cemetery was also in a bad state when the Bratislava photojournalist Miroslav Košírer started to publish srticles in 2007. He was successful and the cemetery was reconstructed 2008-2009 by the Bratislava City Hall, with the help of foreign sources. He planned to reconstruct the nearby military bunkers but the Bratislava City Hall was not inerested, and so he formed a group of enthusiasts. The were supported by the Military Historical Institute and at the mayor of Petržalka. In 2009 they cleared the bunker which was then used by homeless.

A first exhibition was opened in MAY-2009, with photo documents from the Military History Institute, the Institute of the Memory of the Nation, the Jewish Museum and the archives of Miro Košírera. It was quite popular and was extended until OCT-2009. The bunker was visited by teachers with their classes and locals which were interested in the history. At the same time the restauration of the bunker was continued by volunteers. The civic association Občianske združenie Zachráňme petržalské bunkre (Let's Save Petržalka Bunkers) was founded in OCT-2009 to give the group a the possibility to officially communicate with institutions, or to receive sponsorship gifts or other material assistance. The bunker was equipped with electric light powered by a generator and exhibits like the reconstruction of the "Iron Curtain" was built.